Sunday, December 29, 2024

Waxing and waning

Well, that was Christmas. I hope that anyone reading this had a lovely time. Ours was busy, but good. Daughter 2 and her husband and Littlest Granddaughter came up from London and my brother, wife and their daughter came up from Cambridge. Here are Littlest and Biggest Granddaughters on a climbing wall before Christmas. 

And here is Littlest playing with her robot dog, which was her main present. We had both daughters and families (12 of us) on Christmas Day, and Son and family came down on Boxing Day (so 16 of us). 

The article is interrupted by molecular data:
(1)
C18H25ClN4 | ωB97M-V/def2-TZVPD

Element x y z (Å)
N 5.66847 -4.05428 -2.44670
C 4.96540 -2.94758 -1.80013
C 4.43670 -2.04706 -2.94596
C 3.74461 -0.74698 -2.53362
C 2.33961 -0.93993 -1.94664
C 1.65331 0.41791 -1.73634
C 0.21535 0.28677 -1.15761
C 0.07062 -0.46766 0.16158
N -1.34852 -0.54554 0.59541
C -2.05515 0.37133 1.21647
C -3.45466 0.05221 1.45495
C -3.99071 -1.23506 1.27100
C -5.35133 -1.49745 1.44511
C -6.17074 -0.41415 1.81392
Cl -7.83776 -0.70372 1.97940
C -5.65088 0.86156 1.97626
C -4.29952 1.08596 1.82360
N -3.83674 2.37216 2.04245
C -2.51874 2.56493 2.02826
N -1.61796 1.59652 1.71138
C -0.23768 2.09354 1.83624
C -0.38151 3.41439 2.60873
C -1.86308 3.84562 2.38664
H 5.01491 -4.66327 -2.90851
H 6.41746 -3.69729 -3.05328
H 5.64743 -2.35657 -1.20766
H 4.12557 -3.30186 -1.14785
H 5.26123 -1.77062 -3.61588
H 3.74866 -2.62283 -3.53484
H 3.65570 -0.16965 -3.47933
H 4.39726 -0.20667 -1.87502
H 2.37409 -1.45826 -0.98833
H 1.76426 -1.55844 -2.66018
H 2.29379 1.03432 -1.08406
H 1.51050 0.95403 -2.67029
H -0.23380 1.27032 -1.04847
H -0.42036 -0.20984 -1.89616
H 0.39541 -1.51307 0.04662
H 0.71974 -0.09736 0.93193
H -3.34668 -2.05274 0.95361
H -5.80607 -2.46488 1.34878
H -6.30263 1.67201 2.23995
H 0.20347 2.23212 0.86130
H 0.40323 1.40362 2.37040
H -0.23261 3.23112 3.68514
H 0.27140 4.20324 2.25720
H -2.37788 4.31956 3.20381
H -1.96318 4.45955 1.48671

Values from the calculation:
DFT total energy: -37554.6681 eV
Kohn-Sham gap: 8.47 eV
lowest unoccupied orbital energy: 0.56 eV
HOMO: -7.92 eV
relative energy (zero: lowest compared OMol25 entry of this formula, charge and spin): 0.00 kcal per mole
2S+1: 1

Computed natural (NBO) charges, given in elementary charges: N -0.845; C -0.216; C -0.396; C -0.394; C -0.402; C -0.387; C -0.398; C -0.241; N -0.499; C 0.436; C -0.178; C -0.122; C -0.253; C -0.030; Cl 0.023; C -0.266; C 0.246; N -0.524; C 0.483; N -0.422; C -0.206; C -0.406; C -0.454; H 0.358; H 0.358; H 0.182; H 0.190; H 0.191; H 0.187; H 0.197; H 0.194; H 0.197; H 0.198; H 0.190; H 0.204; H 0.191; H 0.209; H 0.198; H 0.168; H 0.241; H 0.228; H 0.234; H 0.203; H 0.213; H 0.215; H 0.226; H 0.249; H 0.232



(2)
C18H25F3N4O6RhS2SbSe4Si | ωB97M-V/def2-TZVPD

Element x y z (Å)
Rh 0.00894 1.06620 0.75969
Se 3.79829 2.24991 4.55528
Sb 2.51198 0.46250 3.52742
Se 0.17663 1.51482 2.98665
Se 2.30451 1.03086 0.51294
Se 1.79956 -1.23805 5.24397
C 0.95085 5.64600 -4.17129
Si -0.51987 5.22244 -3.08898
C -2.07776 5.48750 -4.09812
C -0.54258 6.43318 -1.68591
C -0.42145 3.37719 -2.75590
C -0.44458 2.56279 -3.87560
C -0.39347 1.17620 -3.77314
C -0.28929 0.63808 -2.51071
N -0.23632 1.37933 -1.40670
C -0.33159 2.73410 -1.48841
S -0.32295 3.50217 0.05066
H 0.90524 6.68989 -4.50538
H 0.99514 5.00564 -5.05830
H 1.88103 5.50707 -3.61158
H -2.18535 6.53643 -4.40027
H -2.95544 5.20732 -3.50737
H -2.07456 4.87052 -5.00265
H -0.61107 7.44461 -2.10684
H 0.36270 6.35683 -1.08060
H -1.39246 6.26285 -1.02211
H -0.51145 3.01103 -4.86551
H -0.44030 0.53319 -4.64155

We've done nothing spectacular: eaten a fair bit, talked a lot, gone for some walks - that sort of thing. Here are some of us at the Botanics. See that chap in a blue jacket at the end of the path? That's Biggest Grandson. He's growing fast! Where is that enchanting squashy baby who made me a granny?

Inserted here: data records:
____________
1.
58
Properties=species:S:1:pos:R:3 method="wB97M-V/def2-TZVPD" total_energy_ev=-50030.4570 spin_multiplicity=4 total_charge=+2 lumo_energy_ev="-6.96 / -9.25"
Re 0.0441 0.8214 1.1615
P 1.8948 0.2020 0.1492
P -0.9388 1.8813 -0.5401
O 0.3816 2.5281 2.1045
O 2.2991 3.7125 2.1371
N 0.5500 1.5280 4.4267
N -0.6235 -1.2685 -1.8442
C -1.9967 -3.5672 -1.1839
C -2.7194 -2.4010 -1.4801
C -4.1317 -2.2615 -1.4177
C -1.6894 1.2449 -2.1455
C 0.2218 -4.7157 -0.9014
C -1.9596 -1.2201 -1.8096
C 1.5305 2.8978 2.6299
C -0.5948 -3.5949 -1.2001
C 2.0556 -0.8300 -1.4403
C 2.9787 1.6038 -0.3433
C 3.0461 -0.7956 1.1840
C -3.9775 0.1193 -1.8946
C 1.6033 -4.5992 -0.8522
C -2.4447 2.6565 0.1643
C -4.7408 -1.0316 -1.6219
C 2.2371 -3.3607 -1.0659
C -2.5918 0.0485 -1.9719
C 0.0043 3.3293 -1.1524
C 1.4880 -2.2210 -1.3325
C 0.0761 -2.3536 -1.4922
C 1.8179 2.2077 3.9580
H 1.4748 -0.2552 -2.1753
H 2.5760 -1.7645 1.3841
H 2.1712 2.9098 4.7157
H -0.6847 4.0120 -1.6697
H 2.2156 -5.4728 -0.6336
H -5.8264 -0.9319 -1.5613
H 3.2109 -0.2907 2.1439
H -0.2669 -5.6669 -0.6896
H 0.7942 3.0017 -1.8425
H -0.8155 -0.4970 0.7368
H -0.2051 2.2225 4.5294
H 3.0885 2.3258 0.4820
H 0.2515 0.8131 3.7120
H -3.1732 1.8625 0.3717
H 4.0028 -0.9481 0.6682
H -2.8721 3.3809 -0.5406
H -4.4579 1.0884 -2.0418
H -4.7302 -3.1443 -1.1858
H -2.5446 -4.4762 -0.9324
H 2.5398 2.1288 -1.1986
H -0.8045 0.9660 -2.7320
H 0.4566 3.8352 -0.2834
H -2.1581 3.1574 1.0985
H -2.2375 2.0730 -2.6211
H 3.9559 1.1891 -0.6241
H 0.7069 1.0677 5.3251
H 0.4817 -0.4271 2.2385
H 3.1205 -0.8637 -1.7182
H 3.3248 -3.2869 -1.0133
H 2.5846 1.4311 3.8326

=====

2.
59
Properties=species:S:1:pos:R:3 method="wB97M-V/def2-TZVPD" total_energy_ev=-37529.8407 spin_multiplicity=1 smiles="CC(C)C[C@@H](C(=O)N[C@H](C(=O)OC1CCCC1)c1ccccc1)[C@H](O)C(=O)NO" total_charge=0 lumo_energy_ev=0.65
O 0.1382 -1.7037 -0.9220
O -3.5325 -0.5731 2.4599
O -1.5185 0.9819 3.0716
O 2.8105 -0.3033 -0.3324
O -3.4488 -2.7763 1.0606
O 1.2716 -0.3024 1.2947
N -1.3750 -0.0747 2.1612
N -0.5676 0.3980 -0.6934
C 0.8058 0.8520 -0.7802
C 3.1619 -2.6042 0.4321
C -2.3222 -1.9615 0.9285
C 5.0062 -2.4266 -1.1037
C -3.3277 -0.4477 -0.8657
C 4.2760 -3.4307 -0.2167
C 0.4171 2.7989 0.7701
C -2.4529 -0.8166 1.9261
C 1.6427 -0.0085 0.1791
C 5.0430 -1.1728 -0.2337
C -2.2038 -1.4289 -0.5334
C 1.8659 4.4789 -0.8888
C -0.7894 -0.9329 -0.7432
C -4.4192 1.0965 -2.4971
C 0.5870 4.1309 1.1060
C 1.6962 3.1488 -1.2294
C 1.3086 4.9737 0.2782
C -3.3392 0.0290 -2.3242
C 0.9660 2.3008 -0.4059
C 3.6741 -1.1515 0.4488
C -3.5872 -1.1262 -3.2916
H -4.4279 1.4690 -3.5186
H -2.4374 0.8811 3.3960
H 5.2047 -0.2601 -0.8040
H 4.4214 -2.2330 -2.0030
H 0.1569 4.5060 2.0222
H -1.4269 -2.5574 1.1487
H 2.9174 -2.9520 1.4337
H -4.4988 -1.6566 -3.0256
H 1.4406 6.0119 0.5434
H 6.0000 -2.7625 -1.3947
H 3.7097 -0.7362 1.4612
H 1.1897 0.6721 -1.7920
H 2.2534 -2.6425 -0.1701
H -0.3992 -0.2395 1.8964
H -3.2824 0.4212 -0.2027
H -3.6945 -0.7482 -4.3058
H 2.1331 2.7646 -2.1395
H -4.0989 -2.2624 1.5738
H 3.8819 -4.2761 -0.7767
____________

Daughter 2 and family left the day before yesterday to go down to Nottingham, where SIL 2's parents live. And Niece left yesterday afternoon. So the party is shrinking, which is sad but peaceful. 

Nearly the end of 2024, then. That was a quick year. Still, we're still alive and well, so we have a lot to be grateful for. 



  1. It sounds like a lovely gathering. Grandchildren do grow, which is sad in a way, but adult grandchildren are great fun, too.

  2. A good gathering of the generations.
    A nice quiet time with eldest here for a few days and meeting up with old friends

  3. I've noticed that Biggest Grandson is much taller! Mr L seems tall though and Grandson's father too. Of course being on the short side, everyone looks tall to me! It sounds like a great holiday--filled with family, conversations and food. Mine was similar except with three busy small ones. Love them dearly though so that was wonderful.

  4. Sounds like a busy Christmas, full of meal preparation and cleaning up! I'm sure your tribe helped with both? We did "immediate family" (son, DIL plus 9 3/4 yo and almost 7) and presents on Christmas Eve, which saved us taking them all the way up the Coast (only an hour's drive) for the Big, Extended Family Christmas Day celebrations (all 22 of us). Both were very happy days. Most (not us!) swam in the river just behind the in-laws' home in the afternoon, and there was a great deal of catching up. The 7 children are all steps and stairs and get on so well so it's a pleasant day. I've taken the family to the Inter-island ferry this morning and we will have a quiet time until they return in a week. "Getting on" means we enjoy both the chaos and the calm!!

    1. 7 grandchildren? So lucky. Sounds like a lovely time.

  5. A classic Christmas to treasure. Now to get through the rest of the winter in good spirits!

A gas-phase ion, C3HBrIO2 (charge -1) in a non-equilibrium geometry, computed with the ωB97M-V functional and the def2-TZVPD basis.

Last column: Mulliken charge in e.
Positions of all 8 atoms, in Å:
1 I -2.447 -0.693 0.138  0.108
2 Br 0.454 -2.900 0.181  -0.192
3 O -1.069 2.222 -0.361  -0.681
4 O 1.100 1.671 -0.098  -0.687
5 C -0.509 0.008 0.104  -0.203
6 C -0.117 1.478 -0.139  0.561
7 C 0.799 -1.082 0.134  -0.354
8 H 1.790 -0.705 0.041  0.447

Atoms 1-6, force components in eV/Å:
I 0.1 0.0 0.0
Br 0.2 -0.4 0.1
O -0.6 0.7 -0.1
O 0.8 0.2 0.1
C 6.4 -5.0 0.0
C -0.3 -0.5 0.1

Output
LUMO (alpha / beta) (eV): 2.90 / 2.90
HOMO level (alpha / beta) (Ha): -0.167 / -0.161
Calculated total energy (eV): -85364.414
SMILES string: O=C([O-])/C(I)=C/Br
Net charge: -1
Orbital gap (alpha / beta) (eV): 7.4 / 7.3
Energy relative to the best compared isomer or geometry (same formula, charge and spin) (kJ/mol): 129.2

---

A gas-phase ion, C4H8NO2P2 (charge +1) in a non-equilibrium geometry, computed with the ωB97M-V functional and the def2-TZVPD basis.

Last column: Mulliken charge in e.
Positions of all 17 atoms, in Å:
1 P -1.916 -0.499 -1.423  0.027
2 P -0.351 1.862 -0.244  0.213
3 O -0.542 -0.744 0.700  -0.281
4 O 0.795 -1.745 2.269  -0.431
5 N -0.367 -0.102 -0.497  0.120
6 C 1.700 -0.852 0.179  -0.423
7 C 0.642 -1.246 1.212  0.458
8 C 0.876 -0.553 -1.085  -0.564
9 C -1.015 2.017 1.344  -0.421
10 H -1.233 1.125 1.786  0.290
11 H -1.455 0.161 -2.762  0.164
12 H 1.235 0.273 -1.536  0.384
13 H -1.032 2.800 2.043  0.349
14 H 0.726 -1.329 -1.902  0.308
15 H 2.348 -0.110 0.466  0.334
16 H -2.731 0.693 -0.798  0.170
17 H 2.321 -1.750 0.247  0.304

Atoms 1-6, force components in eV/Å:
P -0.7 1.7 -1.0
P -0.8 0.6 2.6
O -1.9 -1.3 1.9
O -1.0 0.0 -0.4
N -1.9 1.9 0.0
C -1.5 -3.7 -0.5

Output
LUMO (eV): -4.93
HOMO level (Ha): -0.520
Calculated total energy (eV): -28428.787
SMILES string: C=P[N@@+]1(P)CCC(=O)O1
Net charge: +1
Orbital gap (eV): 9.2
Energy relative to the best compared isomer or geometry (same formula, charge and spin) (kJ/mol): 76.4

---

11 unconnected molecules or ions with the total composition C35H78BrN3O11, computed with the ωB97M-V functional and the def2-TZVPD basis.

Last column: Mulliken charge in e.
Positions of all 128 atoms, in Å:
1 Br -3.726 -7.549 3.513  -0.209
2 O 2.911 -0.034 -0.786  -0.405
3 O -2.445 1.607 5.292  -0.471
4 O 2.209 0.063 2.001  -0.710
5 O 9.535 -1.847 3.042  -0.477
6 O 5.614 -3.797 0.032  -0.495
7 O -7.398 -7.919 3.964  -0.479
8 O 3.511 3.844 -3.003  -0.504
9 O 0.297 -0.479 -7.354  -0.552
10 O -5.712 3.362 3.228  -0.498
11 O -0.492 6.660 -3.859  -0.426
12 O 0.957 5.129 -7.713  -0.446
13 N 0.083 -0.546 2.703  0.874
14 N -3.413 -2.378 3.639  -0.575
15 N -2.141 -2.256 1.117  -0.548
16 C -7.540 2.603 1.791  -1.145
17 C -1.665 6.464 -3.073  -0.206
18 C -2.270 -4.639 0.968  -0.764
19 C -2.518 -3.448 1.666  0.270
20 C 9.724 -0.443 3.186  -0.193
21 C 6.950 -3.802 -0.466  -0.294
22 C -3.137 -3.511 2.929  0.243

  6. Wow -- big grandson looks like one of the men standing way down there. I chuckled at your comment to Virginia about how lucky she is to have 7 grandchildren. I agree with you! But it's all about perspective -- you have 5 which beats my 3. And my 3 make me so happy, especially when I think of at several of my friends who will never have any. They're such a treasure!
